-- Excerpt --
=====
This entry pairs a crystal structure of Ca2Ga9Cu3 with its calculated XRD peak list. Radiation: Cu Kα X-rays. Structure: a structure optimized by DFT (GGA-PBE).
Lines closer than 0.1° are merged.

Structural model:
```
28
Lattice="6.559 -3.782 0.000 6.559 3.782 0.000 -4.441 0.000 10.060" Properties=species:S:1:pos:R:3 pbc="T T T"
Ca 1.078 0.635 2.512
Ca -1.142 -0.635 7.542
Ca 9.821 0.635 2.518
Ca 7.600 -0.635 7.548
Ga 5.457 3.133 0.701
Ga 5.442 3.133 4.329
Ga 1.071 0.620 5.728
Ga 4.079 1.415 2.524
Ga 1.040 0.618 9.469
Ga 3.291 -0.620 0.698
Ga 3.229 0.931 7.545
Ga 6.819 1.415 2.506
Ga 3.260 -0.618 4.439
Ga 5.418 0.618 5.621
Ga 1.859 -1.415 7.554
Ga 5.449 -0.931 2.515
Ga 5.387 0.620 9.362
Ga 7.638 -0.618 0.591
Ga 4.599 -1.415 7.536
Ga 7.607 -0.620 4.332
Ga 3.237 -3.133 5.731
Ga 3.221 -3.133 9.359
Cu 3.280 1.891 0.000
Cu 3.228 1.938 5.039
Cu 3.230 1.938 10.051
Cu 1.059 -1.891 5.030
Cu 5.448 -1.938 0.009
Cu 5.450 -1.938 5.021
```

Main lines, by intensity (10° ≤ 2θ ≤ 90°):
2theta, d [Å], intensity
41.3, 2.185, 100
35.8, 2.506, 87
35.7, 2.517, 67
45.2, 2.007, 32
45.3, 2.001, 32
17.6, 5.030, 23
71.7, 1.317, 14
71.9, 1.313, 14
89.8, 1.092, 13
39.3, 2.295, 12

---

This entry pairs a crystal structure of CaGaCu3 with its calculated XRD peak list. Radiation: Cu Kα X-rays. Structure: a structure optimized by DFT (GGA-PBE).
Lines closer than 0.1° are merged.

Structural model:
```
10
Lattice="-2.541 4.316 4.167 2.541 -4.316 4.167 2.541 4.316 -4.167" Properties=species:S:1:pos:R:3 pbc="T T T"
Ca 0.000 2.158 0.374
Ca 2.541 2.158 3.792
Ga 2.541 0.000 0.000
Ga 0.000 0.000 4.167
Cu 2.541 2.158 -1.386
Cu 1.271 4.165 -2.083
Cu 1.271 -0.151 2.083
Cu -1.271 4.467 2.083
Cu 1.271 4.467 2.083
Cu 0.000 2.158 5.553
```

Main lines, by intensity (10° ≤ 2θ ≤ 90°):
2theta, d [Å], intensity
46.9, 1.938, 100
42.6, 2.122, 89
14.8, 5.995, 87
41.9, 2.158, 78
41.6, 2.170, 75
29.6, 3.019, 59
29.2, 3.060, 56
48.5, 1.876, 53
41.2, 2.190, 50
20.6, 4.316, 48

---

This entry pairs a crystal structure of Ca8GaCu2 with its calculated XRD peak list. Radiation: Cu Kα X-rays. Structure: a structure optimized by DFT (GGA-PBE).
Lines closer than 0.1° are merged.

Structural model:
```
11
Lattice="4.595 -6.795 0.000 4.595 6.795 0.000 -1.548 0.000 5.577" Properties=species:S:1:pos:R:3 pbc="T T T"
Ca 0.000 0.000 0.000
Ca 0.637 1.762 3.368
Ca 3.105 3.175 1.051
Ca 0.637 -1.762 3.368
Ca 3.995 1.759 4.350
Ca 3.105 -3.175 1.051
Ca 3.995 -1.759 4.350
Ca 6.203 0.000 2.088
Ga 3.202 0.000 0.723
Cu 2.312 4.278 3.832
Cu 2.312 -4.278 3.832
```

Main lines, by intensity (10° ≤ 2θ ≤ 90°):
2theta, d [Å], intensity
30.8, 2.901, 100
31.0, 2.888, 94
36.3, 2.473, 84
28.9, 3.091, 80
37.0, 2.429, 66
33.2, 2.695, 54
31.6, 2.827, 38
20.6, 4.311, 37
32.1, 2.788, 36
20.1, 4.427, 31

---

This entry pairs a crystal structure of CaGaCu2 with its calculated XRD peak list. Radiation: Cu Kα X-rays. Structure: a structure optimized by DFT (GGA-PBE).
Lines closer than 0.1° are merged.

Structural model:
```
16
Lattice="7.350 0.000 0.000 0.000 6.696 0.000 0.000 0.000 5.872" Properties=species:S:1:pos:R:3 pbc="T T T"
Ca 0.172 1.674 0.860
Ca 3.503 5.022 3.796
Ca 3.847 1.674 2.075
Ca 7.178 5.022 5.011
Ga 0.990 5.022 2.034
Ga 2.685 1.674 4.970
Ga 4.665 5.022 0.901
Ga 6.360 1.674 3.837
Cu 1.226 0.407 3.393
Cu 1.226 2.941 3.393
Cu 2.449 3.754 0.458
Cu 2.449 6.289 0.458
Cu 4.901 0.407 5.414
Cu 4.901 2.941 5.414
Cu 6.124 3.754 2.478
Cu 6.124 6.289 2.478
```

Main lines, by intensity (10° ≤ 2θ ≤ 90°):
2theta, d [Å], intensity
39.9, 2.261, 100
35.6, 2.525, 98
19.3, 4.588, 78
39.5, 2.281, 78
45.2, 2.007, 74
42.8, 2.114, 70
47.7, 1.908, 53
20.1, 4.415, 45
31.7, 2.825, 32
36.3, 2.475, 27

---

This entry pairs a crystal structure of CaGa4Cu9 with its calculated XRD peak list. Radiation: Cu Kα X-rays. Structure: a structure optimized by DFT (GGA-PBE).
Lines closer than 0.1° are merged.

Structural model:
```
28
Lattice="-4.136 4.136 6.003 4.136 -4.136 6.003 4.136 4.136 -6.003" Properties=species:S:1:pos:R:3 pbc="T T T"
=====

-- Exercise --
Your job: give back all of the listing earlier on unchanged.

-- Done --
This entry pairs a crystal structure of Ca2Ga9Cu3 with its calculated XRD peak list. Radiation: Cu Kα X-rays. Structure: a structure optimized by DFT (GGA-PBE).
Lines closer than 0.1° are merged.

Structural model:
```
28
Lattice="6.559 -3.782 0.000 6.559 3.782 0.000 -4.441 0.000 10.060" Properties=species:S:1:pos:R:3 pbc="T T T"
Ca 1.078 0.635 2.512
Ca -1.142 -0.635 7.542
Ca 9.821 0.635 2.518
Ca 7.600 -0.635 7.548
Ga 5.457 3.133 0.701
Ga 5.442 3.133 4.329
Ga 1.071 0.620 5.728
Ga 4.079 1.415 2.524
Ga 1.040 0.618 9.469
Ga 3.291 -0.620 0.698
Ga 3.229 0.931 7.545
Ga 6.819 1.415 2.506
Ga 3.260 -0.618 4.439
Ga 5.418 0.618 5.621
Ga 1.859 -1.415 7.554
Ga 5.449 -0.931 2.515
Ga 5.387 0.620 9.362
Ga 7.638 -0.618 0.591
Ga 4.599 -1.415 7.536
Ga 7.607 -0.620 4.332
Ga 3.237 -3.133 5.731
Ga 3.221 -3.133 9.359
Cu 3.280 1.891 0.000
Cu 3.228 1.938 5.039
Cu 3.230 1.938 10.051
Cu 1.059 -1.891 5.030
Cu 5.448 -1.938 0.009
Cu 5.450 -1.938 5.021
```

Main lines, by intensity (10° ≤ 2θ ≤ 90°):
2theta, d [Å], intensity
41.3, 2.185, 100
35.8, 2.506, 87
35.7, 2.517, 67
45.2, 2.007, 32
45.3, 2.001, 32
17.6, 5.030, 23
71.7, 1.317, 14
71.9, 1.313, 14
89.8, 1.092, 13
39.3, 2.295, 12

---

This entry pairs a crystal structure of CaGaCu3 with its calculated XRD peak list. Radiation: Cu Kα X-rays. Structure: a structure optimized by DFT (GGA-PBE).
Lines closer than 0.1° are merged.

Structural model:
```
10
Lattice="-2.541 4.316 4.167 2.541 -4.316 4.167 2.541 4.316 -4.167" Properties=species:S:1:pos:R:3 pbc="T T T"
Ca 0.000 2.158 0.374
Ca 2.541 2.158 3.792
Ga 2.541 0.000 0.000
Ga 0.000 0.000 4.167
Cu 2.541 2.158 -1.386
Cu 1.271 4.165 -2.083
Cu 1.271 -0.151 2.083
Cu -1.271 4.467 2.083
Cu 1.271 4.467 2.083
Cu 0.000 2.158 5.553
```

Main lines, by intensity (10° ≤ 2θ ≤ 90°):
2theta, d [Å], intensity
46.9, 1.938, 100
42.6, 2.122, 89
14.8, 5.995, 87
41.9, 2.158, 78
41.6, 2.170, 75
29.6, 3.019, 59
29.2, 3.060, 56
48.5, 1.876, 53
41.2, 2.190, 50
20.6, 4.316, 48

---

This entry pairs a crystal structure of Ca8GaCu2 with its calculated XRD peak list. Radiation: Cu Kα X-rays. Structure: a structure optimized by DFT (GGA-PBE).
Lines closer than 0.1° are merged.

Structural model:
```
11
Lattice="4.595 -6.795 0.000 4.595 6.795 0.000 -1.548 0.000 5.577" Properties=species:S:1:pos:R:3 pbc="T T T"
Ca 0.000 0.000 0.000
Ca 0.637 1.762 3.368
Ca 3.105 3.175 1.051
Ca 0.637 -1.762 3.368
Ca 3.995 1.759 4.350
Ca 3.105 -3.175 1.051
Ca 3.995 -1.759 4.350
Ca 6.203 0.000 2.088
Ga 3.202 0.000 0.723
Cu 2.312 4.278 3.832
Cu 2.312 -4.278 3.832
```

Main lines, by intensity (10° ≤ 2θ ≤ 90°):
2theta, d [Å], intensity
30.8, 2.901, 100
31.0, 2.888, 94
36.3, 2.473, 84
28.9, 3.091, 80
37.0, 2.429, 66
33.2, 2.695, 54
31.6, 2.827, 38
20.6, 4.311, 37
32.1, 2.788, 36
20.1, 4.427, 31

---

This entry pairs a crystal structure of CaGaCu2 with its calculated XRD peak list. Radiation: Cu Kα X-rays. Structure: a structure optimized by DFT (GGA-PBE).
Lines closer than 0.1° are merged.

Structural model:
```
16
Lattice="7.350 0.000 0.000 0.000 6.696 0.000 0.000 0.000 5.872" Properties=species:S:1:pos:R:3 pbc="T T T"
Ca 0.172 1.674 0.860
Ca 3.503 5.022 3.796
Ca 3.847 1.674 2.075
Ca 7.178 5.022 5.011
Ga 0.990 5.022 2.034
Ga 2.685 1.674 4.970
Ga 4.665 5.022 0.901
Ga 6.360 1.674 3.837
Cu 1.226 0.407 3.393
Cu 1.226 2.941 3.393
Cu 2.449 3.754 0.458
Cu 2.449 6.289 0.458
Cu 4.901 0.407 5.414
Cu 4.901 2.941 5.414
Cu 6.124 3.754 2.478
Cu 6.124 6.289 2.478
```

Main lines, by intensity (10° ≤ 2θ ≤ 90°):
2theta, d [Å], intensity
39.9, 2.261, 100
35.6, 2.525, 98
19.3, 4.588, 78
39.5, 2.281, 78
45.2, 2.007, 74
42.8, 2.114, 70
47.7, 1.908, 53
20.1, 4.415, 45
31.7, 2.825, 32
36.3, 2.475, 27

---

This entry pairs a crystal structure of CaGa4Cu9 with its calculated XRD peak list. Radiation: Cu Kα X-rays. Structure: a structure optimized by DFT (GGA-PBE).
Lines closer than 0.1° are merged.

Structural model:
```
28
Lattice="-4.136 4.136 6.003 4.136 -4.136 6.003 4.136 4.136 -6.003" Properties=species:S:1:pos:R:3 pbc="T T T"